== Given ==
# 1
Material: Sc12I25
Method: DFT, PBE
State: relaxed

```
data_Sc12I25
_space_group_name_H-M_alt 'P -1'
_space_group_IT_number 2
_cell_length_a 13.046
_cell_length_b 13.055
_cell_length_c 15.910
_cell_angle_alpha 77.54
_cell_angle_beta 88.35
_cell_angle_gamma 88.62
loop_
_space_group_symop_operation_xyz
'x,y,z'
'-x,-y,-z'
loop_
_atom_site_label
_atom_site_type_symbol
_atom_site_fract_x
_atom_site_fract_y
_atom_site_fract_z
_atom_site_occupancy
Sc1 Sc 0.014 0.094 0.079 1
Sc2 Sc 0.057 0.300 0.242 1
Sc3 Sc 0.093 0.500 0.407 1
Sc4 Sc 0.138 0.698 0.559 1
Sc5 Sc 0.181 0.901 0.720 1
Sc6 Sc 0.217 0.096 0.881 1
Sc7 Sc 0.263 0.302 0.039 1
Sc8 Sc 0.301 0.500 0.198 1
Sc9 Sc 0.339 0.700 0.363 1
Sc10 Sc 0.382 0.902 0.520 1
Sc11 Sc 0.419 0.094 0.676 1
Sc12 Sc 0.460 0.302 0.843 1
I1 I 0.010 0.864 0.612 1
I2 I 0.033 0.331 0.550 1
I3 I 0.048 0.065 0.770 1
I4 I 0.072 0.535 0.708 1
I5 I 0.089 0.260 0.934 1
I6 I 0.112 0.737 0.868 1
I7 I 0.128 0.463 0.093 1
I8 I 0.153 0.935 0.031 1
I9 I 0.169 0.661 0.255 1
I10 I 0.187 0.138 0.186 1
I11 I 0.209 0.864 0.413 1
I12 I 0.228 0.339 0.348 1
I13 I 0.247 0.064 0.570 1
I14 I 0.271 0.535 0.509 1
I15 I 0.291 0.259 0.733 1
I16 I 0.310 0.737 0.667 1
I17 I 0.329 0.459 0.893 1
I18 I 0.352 0.935 0.828 1
I19 I 0.369 0.663 0.056 1
I20 I 0.390 0.135 0.988 1
I21 I 0.412 0.862 0.215 1
I22 I 0.426 0.337 0.148 1
I23 I 0.447 0.066 0.372 1
I24 I 0.470 0.537 0.308 1
I25 I 0.488 0.263 0.531 1
```

density = 4662 kg/m³
calculated total energy = -4.224 eV/atom
spin magnetization = 0.3 Bohr magnetons per cell
formation enthalpy at 0 K = -32.2 kcal/mol of atoms

---

# 2
Material: SeI2
Method: DFT, PBE
State: relaxed

```
data_SeI2
_space_group_name_H-M_alt 'P 42/m n m'
_space_group_IT_number 136
_space_group_name_Hall '-P 4n 2n'
_cell_length_a 8.460
_cell_length_b 8.460
_cell_length_c 3.933
_cell_angle_alpha 90.00
_cell_angle_beta 90.00
_cell_angle_gamma 90.00
loop_
_atom_site_label
_atom_site_type_symbol
_atom_site_fract_x
_atom_site_fract_y
_atom_site_fract_z
_atom_site_occupancy
Se1 Se 0.000 0.000 0.000 1
I1 I 0.169 0.169 0.500 1
```

density = 3926 kg/m³
calculated total energy = -2.114 eV/atom
formation enthalpy at 0 K = -4.3 kcal/mol of atoms

---

# 3
Material: Ta3Se12I
Method: DFT, PBE
State: relaxed

```
data_Ta3Se12I
_space_group_name_H-M_alt 'P 4/m n c'
_space_group_IT_number 128
_space_group_name_Hall '-P 4 2n'
_cell_length_a 9.719
_cell_length_b 9.719
_cell_length_c 19.363
_cell_angle_alpha 90.00
_cell_angle_beta 90.00
_cell_angle_gamma 90.00
loop_
_atom_site_label
_atom_site_type_symbol
_atom_site_fract_x
_atom_site_fract_y
_atom_site_fract_z
_atom_site_occupancy
Ta1 Ta 0.000 0.500 0.079 1
Ta2 Ta 0.000 0.500 0.250 1
Se1 Se 0.019 0.278 0.000 1
Se2 Se 0.049 0.710 0.172 1
Se3 Se 0.106 0.697 0.500 1
Se4 Se 0.123 0.316 0.340 1
I1 I 0.000 0.000 0.370 1
```

density = 5873 kg/m³
calculated total energy = -5.469 eV/atom
formation enthalpy at 0 K = -12.7 kcal/mol of atoms

---

- What is the formation enthalpy at 0 K in the first record?
  -32.2 kcal/mol of atoms

---

- Which of these has the highest formation enthalpy at 0 K?
  SeI2

---

- The lowest density belongs to which entry?
  SeI2

* * * * *

# Na3LaZnSiS2O12

A relaxed structure of Na3LaZnSiS2O12 (PBE, Materials Project).

Calculated values
E_tot = -740.420 eV/cell
Formation energy from the elements = -2.421 eV/atom

Cell: 9.5071 9.5071 23.2439 Å, 90.97 90.97 59.72°
Atoms (fractional coordinates):
Na: 0.1168 0.8832 0.5000
Na: 0.1303 0.4945 0.0149
Na: 0.1377 0.7871 0.1723
Na: 0.1402 0.1475 0.4281
Na: 0.1475 0.1402 0.9281
Na: 0.1827 0.8282 0.8490
Na: 0.1981 0.4756 0.3281
Na: 0.4622 0.5028 0.2624
Na: 0.4756 0.1981 0.8281
Na: 0.4945 0.1303 0.5149
Na: 0.5028 0.4622 0.7624
Na: 0.5270 0.8077 0.6676
Na: 0.7871 0.1377 0.6723
Na: 0.8077 0.5270 0.1676
Na: 0.8231 0.8268 0.0949
Na: 0.8268 0.8231 0.5949
Na: 0.8282 0.1827 0.3490
Na: 0.8832 0.1168 0.0000
La: 0.1444 0.1751 0.7672
La: 0.1751 0.1444 0.2672
La: 0.4758 0.4922 0.1016
La: 0.4922 0.4758 0.6016
La: 0.8261 0.8288 0.4329
== Job ==
Your job: echo every line above that contains the word "I20".
== Reply ==
I20 I 0.390 0.135 0.988 1